-- Exercise --
It remains to work out how many lines below have the word "the" in them; a number is enough.

-- Listing --
{"formula": "C24H38BNO8PS2", "method": "ωB97M-V with the def2-TZVPD basis set", "elements": ["H", "O", "H", "H", "C", "O", "O", "C", "H", "C", "B", "H", "H", "C", "H", "C", "H", "C", "S", "C", "C", "C", "C", "C", "C", "H", "H", "H", "H", "H", "C", "H", "H", "H", "H", "H", "H", "H", "H", "O", "O", "H", "H", "H", "H", "O", "C", "C", "H", "H", "H", "C", "O", "H", "H", "C", "P", "C", "O", "C", "C", "H", "H", "C", "H", "C", "N", "H", "C", "S", "C", "H", "H", "H", "H"], "coordinates": [[-4.409, 0.914, 1.116], [-3.072, -5.819, 2.170], [-0.343, -1.469, 2.278], [1.702, 1.290, 1.615], [-4.114, -1.097, -1.578], [0.358, -0.050, -0.490], [-4.675, -4.433, 3.598], [-2.084, 1.046, 2.216], [-4.723, -1.927, -1.246], [1.500, 2.134, -3.133], [-2.608, -2.843, 2.097], [3.652, 0.722, -2.241], [-2.238, -0.095, -4.190], [0.897, 1.061, -1.063], [-0.874, -4.146, 2.732], [1.941, 3.240, -2.410], [8.739, 1.930, -1.962], [-3.526, -1.116, -2.820], [-5.240, -4.577, 0.710], [8.735, 1.328, -2.869], [-3.071, 0.988, -1.116], [-0.678, 1.434, 2.630], [0.986, 1.038, -2.453], [-2.709, -0.076, -3.217], [1.860, 3.238, -1.026], [0.190, -2.199, 0.749], [0.889, -2.729, 2.250], [-5.600, -0.202, 0.500], [-3.695, -1.956, -3.476], [8.976, 0.303, -2.589], [-4.039, -1.221, 1.552], [7.419, 0.844, -4.507], [0.620, 0.158, -2.961], [1.923, 3.015, 1.497], [-3.634, 1.106, 3.714], [2.195, 4.111, -0.481], [-2.548, -5.907, 2.974], [-4.499, -1.002, 3.646], [3.755, 1.015, -0.492], [-2.773, -2.028, 3.321], [-2.948, -1.915, 1.018], [1.543, 2.127, -4.212], [-2.043, 0.426, 1.321], [2.334, 4.093, -2.946], [-0.709, 2.650, 0.962], [6.345, 0.741, -2.810], [1.342, 2.160, -0.316], [-2.905, 0.388, 3.342], [-0.710, 1.872, 3.631], [-2.591, 1.971, 1.926], [-4.066, -4.722, 4.285], [-4.532, -0.065, 0.657], [5.387, 2.864, -2.032], [-4.903, -1.882, 1.676], [-1.847, 1.797, -2.658], [-2.486, 0.976, -2.366], [-3.917, -4.412, 2.131], [-1.130, -3.475, 1.907], [6.609, 1.397, -0.457], [-3.891, -0.048, -0.707], [-0.044, -2.397, 1.789], [-2.231, 0.175, 4.174], [-0.069, 0.527, 2.724], [-3.598, -0.926, 3.020], [0.173, 0.071, 0.447], [4.275, 0.616, -1.358], [-0.078, 2.402, 1.709], [7.091, 2.414, -3.779], [1.266, 2.197, 1.188], [5.733, 1.548, -1.579], [7.389, 1.386, -3.564], [4.554, -0.421, -1.182], [-1.140, -4.078, 0.999], [-2.895, 1.818, -0.446], [9.509, 1.704, -3.539]], "forces_ev_per_a": [[0.0, 0.0, 0.2], [-0.1, -0.3, 0.2], [-0.1, 0.0, 0.0], [-0.1, -0.2, 0.0], [-0.2, -0.4, 0.1], [0.2, 0.1, -0.2], [-0.1, -0.3, -0.1], [-0.2, 0.3, 0.1], [0.0, -0.1, 0.0], [-0.1, -0.1, 0.5], [0.8, 0.3, -0.1], [0.0, 0.0, 0.0], [0.0, 0.0, -0.1], [-0.3, -0.3, 0.2], [-0.1, -0.1, 0.1], [-0.1, -0.1, -0.3], [0.0, 0.0, 0.0], [-0.1, -0.3, -0.2], [-0.1, 0.0, 0.0], [-0.1, 0.0, 0.1], [-0.1, 0.2, 0.2], [0.2, 0.1, 0.2], [0.1, 0.2, 0.0], [0.2, -0.2, -0.5], [0.0, 0.1, -0.1], [-0.1, 0.2, -0.2], [0.1, 0.1, 0.1], [-0.1, 0.0, 0.1], [0.0, -0.1, -0.1], [0.0, 0.0, 0.0], [-0.1, 0.5, 0.5], [-0.1, -0.1, 0.0], [0.0, 0.0, -0.1], [0.1, 0.0, 0.2], [-0.1, 0.1, 0.0], [0.1, 0.0, 0.1], [0.2, 0.1, -0.1], [0.0, 0.1, 0.1], [0.1, 0.1, 0.0], [0.3, -0.3, 0.0], [-0.3, -0.4, -0.1], [0.0, 0.0, -0.1], [0.0, -0.2, 0.0], [0.1, 0.1, 0.1], [-0.1, -0.1, 0.0], [-0.1, -0.1, 0.0], [-0.1, -0.1, -0.3], [0.5, 0.1, -0.2], [0.0, 0.0, 0.1], [0.0, 0.0, -0.1], [0.0, 0.3, 0.2], [0.1, 0.1, -0.2], [0.2, 0.1, 0.1], [0.1, -0.3, -0.2], [0.1, 0.1, -0.1], [0.2, 0.5, 0.1], [-0.4, 0.3, -0.3], [-0.2, 0.3, 0.1], [-0.1, 0.0, 0.1], [-0.1, 0.2, 0.5], [0.2, -0.3, 0.1], [-0.1, -0.1, 0.1], [0.1, 0.1, -0.1], [-0.7, -0.3, -0.1], [0.0, 0.0, 0.1], [0.1, -0.4, 0.0], [-0.1, -0.2, -0.3], [0.0, 0.0, 0.1], [0.1, 0.2, 0.0], [0.0, 0.2, -0.2], [0.2, 0.2, -0.2], [0.0, 0.0, 0.0], [0.1, -0.2, 0.0], [0.0, 0.1, 0.1], [0.0, 0.0, 0.0]], "mulliken_charge": [0.503, -0.568, -0.253, 0.343, -0.273, -0.695, -0.563, 0.531, 0.374, -0.720, 0.374, 0.172, 0.413, 1.580, 0.321, -0.804, 0.295, -0.814, -0.545, -0.982, -0.082, -1.193, -0.439, -0.425, -0.815, 0.231, 0.368, 0.431, 0.424, 0.261, -0.538, 0.283, 0.421, 0.574, 0.336, 0.359, 0.283, 0.333, 0.125, -0.640, 0.127, 0.429, -0.154, 0.396, 0.334, -0.296, 0.351, -1.681, 0.436, 0.686, 0.288, -1.785, -0.621, 0.701, 0.451, -0.568, 0.610, -0.566, -0.659, 0.557, -0.708, 0.468, 0.325, 0.410, -0.016, -0.704, -0.184, 0.335, -1.289, 1.242, -0.374, 0.528, 0.198, 0.357, 0.391], "energy_ha": -2756.78890, "molar_mass_g_mol": 574.5, "charge": -1}

-- Worked solution --
1